Majoring In The Minors

After finishing up our majoring in the minors podcast series it got me thinking. People spend an inordinate amount of time and money chasing things to give them an edge in the weight room or the playing field. The supplement industry is a multi billion dollar industry and every day it seems a new product comes out intended to give you some sort of edge over your opponent. 

Coaches spend hours reading and applying far fetched theories and training philosophy trying to find the “next big thing” or the “magic ingredient” to success. 

You have people obsessing over all sorts of obscure things from how much added sugar they are consuming to the amount of plastic they come in contact with. 

People spend countless hours, countless dollars, and an immeasurable amount of effort chasing things that may or may not give them an advantage and even if i a very small one at best. We are talking fractions of a percentage difference here. 

Yet when it comes to things that make a huge difference and have been shown over and over again to have the biggest impact they don’t want to put in the effort. No, the basics aren’t sexy but they work and give you the biggest return on your investment. I can guarantee you everyone reading this post can take steps to improve their sleep, nutrition, stress management, consistency and effort. 

I promise if you took all that money you just spent on this months supplement stack on a coach you’d see more progress 

Records of crystals, as found in the file >
<<<
MoHO4: relaxed, GGA+U.

Summary:
- Energy: -6.07 eV/atom

a = 7.045 Å, b = 7.045 Å, c = 5.296 Å
α = 98.54°, β = 98.54°, γ = 136.78°
Atoms (fractional coordinates):
Mo (0.087, 0.913, 0.750)
Mo (0.913, 0.087, 0.250)
H (0.329, 0.671, 0.250)
H (0.671, 0.329, 0.750)
O (0.096, 0.441, 0.249)
O (0.151, 0.230, 0.621)
O (0.230, 0.151, 0.121)
O (0.441, 0.096, 0.749)
O (0.559, 0.904, 0.251)
O (0.770, 0.849, 0.879)
O (0.849, 0.770, 0.379)
O (0.904, 0.559, 0.751)

=====

{
  "formula": "BeTlSi3",
  "functional": "PBE",
  "state": "optimized geometry",
  "rho_g_cm3": 3.526,
  "space_group": "Pm-3m, No. 221",
  "e_form_raw_ev_per_fu": 9.724,
  "lattice": [[5.195, 0.000, 0.000], [0.000, 5.195, 0.000], [0.000, 0.000, 5.195]],
  "species": ["Be", "Tl", "Si", "Si", "Si"],
  "fractional_positions": [[0.000, 0.000, 0.000], [0.500, 0.500, 0.500], [0.000, 0.500, 0.500], [0.500, 0.000, 0.500], [0.500, 0.500, 0.000]]
}


{
  "formula": "BeTlSi",
  "functional": "PBE",
  "state": "optimized geometry",
  "rho_g_cm3": 7.299,
  "space_group": "F-43m, No. 216",
  "e_form_raw_ev_per_fu": 1.757,
  "lattice": [[6.034, 0.000, 0.000], [0.000, 6.034, 0.000], [0.000, 0.000, 6.034]],
  "species": ["Be", "Be", "Be", "Be", "Tl", "Tl", "Tl", "Tl", "Si", "Si", "Si", "Si"],
  "fractional_positions": [[0.000, 0.000, 0.000], [0.000, 0.500, 0.500], [0.500, 0.000, 0.500], [0.500, 0.500, 0.000], [0.250, 0.250, 0.750], [0.250, 0.750, 0.250], [0.750, 0.250, 0.250], [0.750, 0.750, 0.750], [0.250, 0.250, 0.250], [0.250, 0.750, 0.750], [0.750, 0.250, 0.750], [0.750, 0.750, 0.250]]
}


{
  "formula": "Be2TlSi",
  "functional": "PBE",
  "state": "optimized geometry",
  "rho_g_cm3": 5.867,
  "space_group": "Immm, No. 71",
  "e_form_raw_ev_per_fu": 2.734,
  "lattice": [[3.776, 0.000, 0.000], [0.000, 5.896, 0.000], [0.000, 0.000, 6.370]],
  "species": ["Be", "Be", "Be", "Be", "Tl", "Tl", "Si", "Si"],
  "fractional_positions": [[0.000, 0.000, 0.174], [0.000, 0.000, 0.826], [0.500, 0.500, 0.326], [0.500, 0.500, 0.674], [0.000, 0.500, 0.000], [0.500, 0.000, 0.500], [0.000, 0.500, 0.500], [0.500, 0.000, 0.000]]
}


{
  "formula": "BeTlSi2",
  "functional": "PBE",
  "state": "optimized geometry",
  "rho_g_cm3": 6.292,
  "space_group": "P4/mmm, No. 123",
  "e_form_raw_ev_per_fu": 2.673,
  "lattice": [[3.583, 0.000, 0.000], [0.000, 3.583, 0.000], [0.000, 0.000, 5.543]],
  "species": ["Be", "Tl", "Si", "Si"],
  "fractional_positions": [[0.000, 0.000, 0.000], [0.500, 0.500, 0.000], [0.000, 0.000, 0.500], [0.500, 0.500, 0.500]]
}


{
  "formula": "Be2TlSi",
  "functional": "PBE",
  "state": "optimized geometry",
  "rho_g_cm3": 6.332,
  "space_group": "F-43m, No. 216",
  "e_form_raw_ev_per_fu": 4.075,
  "lattice": [[6.405, 0.000, 0.000], [0.000, 6.405, 0.000], [0.000, 0.000, 6.405]],
  "species": ["Be", "Be", "Be", "Be", "Be", "Be", "Be", "Be", "Tl", "Tl", "Tl", "Tl", "Si", "Si", "Si", "Si"],
>>>

I promise if you spent the time you do foam rolling, mobilizing, romWODing or whatever else setting a pre bed routine you’d see more progress. 

_Here the page breaks off for crystal structures_
- - -
Material: CrRe2Te
Method: DFT, GGA-PBE
State: relaxed

Summary:
- ΔE_f (raw) (kJ/mol of atoms) = 79

Cell: 4.8512 4.8512 3.0465 Å, 90.00 90.00 114.99°
With the nearest neighbours (Å) after each atom.
Sites, in units of the cell vectors:
Cr 0.0000 0.0000 0.0000  2 Te 2.61, 8 Re 2.86
Re 0.0000 0.5000 0.5000  2 Re 2.61, 4 Cr 2.86, 4 Te 2.86
Re 0.5000 0.0000 0.5000  2 Re 2.61, 4 Cr 2.86, 4 Te 2.86
Te 0.5000 0.5000 0.0000  2 Cr 2.61, 8 Re 2.86

=====

No. 1
Material: Ho4Sc3Te2
Method: DFT, GGA-PBE
State: relaxed

Crystal system = monoclinic

a b c (Å): 3.7293 9.2161 8.6606
angles (deg): 121.11 102.43 90.00
With the nearest neighbours (Å) after each atom.
Element x y z (fractional)
Ho 0.2100 0.8236 0.4200  2 Te 3.17, 3 Sc 3.21-3.40, 5 Ho 3.35-3.54
Sc 0.8495 0.7392 0.6990  3 Te 2.98-3.06
Sc 0.0000 0.5000 0.0000  4 Te 2.99, 2 Ho 3.21
Ho 0.5522 0.8851 0.1044  1 Te 3.29, 4 Ho 3.40-3.54, 6 Sc 3.48-3.68
Ho 0.4478 0.1149 0.8956  1 Te 3.29, 4 Ho 3.40-3.54, 6 Sc 3.48-3.68
Ho 0.7900 0.1764 0.5800  2 Te 3.17, 3 Sc 3.21-3.40, 5 Ho 3.35-3.54
Sc 0.1505 0.2608 0.3010  3 Te 2.98-3.06
Te 0.3623 0.5006 0.7246  5 Sc 2.98-3.06, 3 Ho 3.17-3.29
Te 0.6377 0.4994 0.2754  5 Sc 2.98-3.06, 3 Ho 3.17-3.29

---

No. 2
Material: HoSc6Te8
Method: DFT, GGA-PBE
State: relaxed

Crystal system = cubic

a b c (Å): 8.3213 8.3213 8.3213
angles (deg): 60.00 60.00 60.00
With the nearest neighbours (Å) after each atom.
Element x y z (fractional)
Te 0.7393 0.2607 0.2607  4 Sc 2.94, 1 Ho 3.07
Sc 0.5000 0.0000 0.0000  6 Te 2.94
Ho 0.0000 0.0000 0.0000  6 Te 3.07
Te 0.2500 0.2500 0.2500  6 Sc 2.94
Te 0.7393 0.7393 0.2607  4 Sc 2.94, 1 Ho 3.07
Sc 0.5000 0.0000 0.5000  6 Te 2.94
Sc 0.5000 0.5000 0.0000  6 Te 2.94
Te 0.7500 0.7500 0.7500  6 Sc 2.94
Sc 0.0000 0.0000 0.5000  6 Te 2.94
Te 0.2607 0.7393 0.7393  4 Sc 2.94, 1 Ho 3.07
Sc 0.0000 0.5000 0.5000  6 Te 2.94
Te 0.2607 0.2607 0.7393  4 Sc 2.94, 1 Ho 3.07
Sc 0.0000 0.5000 0.0000  6 Te 2.94
Te 0.7393 0.2607 0.7393  4 Sc 2.94, 1 Ho 3.07
Te 0.2607 0.7393 0.2607  4 Sc 2.94, 1 Ho 3.07

---

No. 3
Material: Ho2ScTe
Method: DFT, GGA-PBE
State: relaxed

Crystal system = trigonal
ΔE to the lowest computed polymorph = 440 meV/atom

a b c (Å): 3.7597 3.7597 10.5427
angles (deg): 79.73 79.73 60.00
With the nearest neighbours (Å) after each atom.
Element x y z (fractional)
Sc 0.0000 0.0000 0.0000  2 Ho 3.06
Ho 0.0989 0.0989 0.7034  3 Te 3.02, 1 Sc 3.06
Te 0.5000 0.5000 0.5000  6 Ho 3.02
Ho 0.9011 0.9011 0.2966  3 Te 3.02, 1 Sc 3.06

---

No. 4
Material: Ho4ScTe2
Method: DFT, GGA-PBE
State: relaxed

Crystal system = orthorhombic

a b c (Å): 7.3136 7.3138 9.0653
angles (deg): 106.38 106.38 107.49
With the nearest neighbours (Å) after each atom.
Element x y z (fractional)
Sc 0.9406 0.0593 0.9999  2 Te 3.02, 2 Ho 3.37
Ho 0.9178 0.6266 0.7096  3 Te 3.01-3.22, 1 Sc 3.37, 1 Ho 3.37
Sc 0.1908 0.8093 0.5001  2 Te 3.02, 2 Ho 3.37
Ho 0.4582 0.6671 0.7909  3 Te 3.01-3.22, 1 Sc 3.37, 1 Ho 3.37
Ho 0.7164 0.9394 0.5630  4 Te 3.07-3.44, 2 Ho 3.37-3.44
- - -
_End of the crystal structures_

I promise if you took the effort and time you put into trying to find the next best training program and put it into the one you are currently doing you’ll see more progress. 

People are out here chasing all these  fads, gimmicks, and advanced methods when they haven’t even mastered the basics. 

Spend time perfecting the basics and stop wasting time chasing the 1% and I promise you’ll see more progress.

And if you think you have the basics perfected and you don’t make a living playing your sport that you are just lying to yourself. There is always room to get better at the basics! 

And just getting a little better at the basics is going to go a lot further then any magic supplement or training method. 

# Crystal structures from another source follow
____________
Entry 1:
Density functional theory data (PBE-GGA) for a relaxed structure of Pm4HoSc2.

a b c (Å): 6.200 6.670 11.017
angles (deg): 90.40 106.28 90.09
Element x y z (fractional)
1 Pm 0.059 0.470 0.285
2 Pm 0.211 0.178 0.568
3 Pm 0.230 0.969 0.278
4 Pm 0.342 0.900 0.858
5 Pm 0.658 0.100 0.142
6 Pm 0.770 0.031 0.722
7 Pm 0.789 0.822 0.432
8 Pm 0.941 0.530 0.715
9 Ho 0.483 0.595 0.140
10 Ho 0.517 0.405 0.860
11 Sc 0.076 0.257 0.999
12 Sc 0.372 0.671 0.571
13 Sc 0.628 0.329 0.429
14 Sc 0.924 0.743 0.001

Results
- SG: P-1 (2)
- Density: 6340 kg/m3
- Relative energy among the computed polymorphs: 0 meV/atom
- Size of the total moment: 0.00 μB per atom
- Formation energy: 0.04 eV/atom

=====

Entry 2:
Density functional theory data (PBE-GGA) for a relaxed structure of Pm11Ho4Sc9.

a b c (Å): 14.365 14.365 3.500
angles (deg): 90.00 90.00 93.27
Element x y z (fractional)
1 Pm 0.000 0.000 0.000
2 Pm 0.075 0.412 0.000
3 Pm 0.174 0.826 0.000
4 Pm 0.230 0.230 0.000
5 Pm 0.346 0.654 0.000
6 Pm 0.412 0.075 0.000
7 Pm 0.588 0.925 0.000
8 Pm 0.654 0.346 0.000
9 Pm 0.770 0.770 0.000
10 Pm 0.826 0.174 0.000
11 Pm 0.925 0.588 0.000
12 Ho 0.280 0.443 0.500
13 Ho 0.443 0.280 0.500
14 Ho 0.557 0.720 0.500
15 Ho 0.720 0.557 0.500
16 Sc 0.027 0.206 0.500
17 Sc 0.133 0.620 0.500
18 Sc 0.206 0.027 0.500
19 Sc 0.380 0.867 0.500
20 Sc 0.500 0.500 0.500
21 Sc 0.620 0.133 0.500
22 Sc 0.794 0.973 0.500
23 Sc 0.867 0.380 0.500
24 Sc 0.973 0.794 0.500

Results
- SG: Cmmm (65)
- Density: 6124 kg/m3
- Size of the total moment: 0.00 μB per atom
- Formation energy: 0.09 eV/atom

=====

Entry 3:
Density functional theory data (PBE-GGA) for a relaxed structure of Pm4HoSc5.

a b c (Å): 7.802 7.802 7.802
angles (deg): 97.60 97.60 137.34
Element x y z (fractional)
1 Pm 0.000 0.321 0.321
2 Pm 0.000 0.679 0.679
3 Pm 0.321 0.000 0.321
4 Pm 0.679 0.000 0.679
5 Ho 0.738 0.738 0.000
6 Sc 0.223 0.223 0.000
7 Sc 0.278 0.278 0.621
8 Sc 0.278 0.656 0.000
9 Sc 0.656 0.278 0.000
10 Sc 0.656 0.656 0.379

Results
- SG: I4mm (107)
- Density: 5372 kg/m3
- Size of the total moment: 0.00 μB per atom
- Formation energy: 0.23 eV/atom

=====

Entry 4:
Density functional theory data (PBE-GGA) for a relaxed structure of Pm5HoSc4.

a b c (Å): 7.675 7.675 7.675
angles (deg): 99.40 99.40 132.34
Element x y z (fractional)
1 Pm 0.000 0.000 0.000
2 Pm 0.482 0.581 0.602
3 Pm 0.581 0.979 0.100
4 Pm 0.879 0.482 0.900
5 Pm 0.979 0.879 0.398
6 Ho 0.461 0.461 0.000
7 Sc 0.175 0.591 0.302
8 Sc 0.289 0.873 0.698
9 Sc 0.591 0.289 0.416
10 Sc 0.873 0.175 0.584

Results
- SG: I4 (79)
- Density: 5811 kg/m3
- Relative energy among the computed polymorphs: 286 meV/atom
- Size of the total moment: 0.00 μB per atom
- Formation energy: 0.33 eV/atom


Entry 1:
# PBE-GGA MgTeAs, optimized geometry
# - Formation energy (no corrections): -0.20 eV/atom
# - V: 25.8 A^3/atom
# - Spin magnetization: 0.000 μB/f.u.
# - E: -3.32 eV/atom
data_MgTeAs
_chemical_formula_sum 'Mg1 Te1 As1'
_cell_length_a 6.0845
_cell_length_b 6.0832
____________

I once had an athlete tell me he didn’t need to read about sleep and recovery because the information was “too basic” and he was “more advanced than that” and I knew he wouldn’t get very far. 

Once you feel you’ve out grown the basics your destined to crash and burn. 

Paul Milano